Grounded. In airplane parlance, it’s an ironic way to describe someone who oversees the fifth largest airline in the country, but that’s exactly how friends and colleagues of US Airways Chairman and CEO Doug Parker, MBA’86, view him. While he’s adept at managing the 30,000-foot view, they say he remains one of the most down-to-earth people they know—even as his embattled industry confronts soaring costs and plummeting customer satisfaction.
Parker, who steered America West Airlines from bankruptcy to profitability in the ’90s and then engineered a successful merger with US Airways in 2005, launched his career in the airline industry with American Airlines. The Dallas-based company offered him his first post-MBA job during a recruiting visit to the Owen School.
“The fact of the matter is, I don’t think I would have been in this business if it weren’t for Vanderbilt,” he says from his company headquarters in Phoenix. “American Airlines recruited only MBAs, and they did so only at a very select group of schools. Because of the Vanderbilt connection, I was able to get hired.”
In recent years Parker’s strong views about the value of mergers and consolidations in restoring the industry to profitability have earned headlines. A bid for Delta Air Lines, initiated in late 2006, was rebuffed (a Delta-Northwest merger was announced earlier this year), and talks with United Airlines stalled. But Parker remains characteristically optimistic, despite cost-cutting imperatives driven by rising oil prices.
Team Building
Parker saw the merger of America West and US Airways as a mechanism for building on the best of both worlds. The two airlines had similar cost structures and together created a larger customer base and more business markets. “We didn’t raise prices; it was about making us both more efficient,” Parker explains.
(What comes next are calculated molecules, not part of the article)
********
Computed, not measured: 15 unconnected molecules or ions with the total composition C60H165N15O15 in a non-equilibrium geometry, with the ωB97M-V functional and the def2-TZVPD basis.

The geometry in XYZ format:
```
255
Properties=species:S:1:pos:R:3:forces:R:3:mulliken_charge:R:1
C 19.64138 15.50906 10.10294 -0.993 0.367 0.866 -1.297
C 20.51866 16.74238 10.30096 1.066 -1.473 0.463 0.331
C 20.79920 17.09007 11.81140 -0.844 -0.093 -0.429 0.819
O 21.32014 18.39554 11.95344 0.180 0.076 0.066 -0.587
C 21.46414 18.78127 13.31968 -0.092 0.425 -0.469 0.148
N 21.77008 16.44234 9.56918 -0.605 1.523 -0.005 -0.717
H 18.68993 15.77392 10.56414 -0.276 -0.428 0.261 0.036
H 20.02908 14.60046 10.56364 0.135 0.036 0.169 0.314
H 19.37862 15.26528 9.07356 0.493 0.343 -0.179 0.464
H 19.93042 17.56079 9.88594 0.548 0.388 -0.266 0.181
H 21.49572 16.40744 12.29816 0.176 -0.485 -0.300 -0.144
H 19.87966 17.03592 12.39416 -0.482 -0.138 0.024 -0.029
H 21.81932 17.98280 13.97114 0.497 -0.242 -0.183 -0.011
H 20.53706 19.11112 13.78854 -0.395 -0.003 -0.277 -0.107
H 22.12090 19.65114 13.31058 0.133 -0.243 0.206 0.106
H 22.04256 15.47126 9.62260 -0.021 0.088 0.324 0.249
H 22.47830 17.06116 9.93744 0.472 -0.237 -0.215 0.338
C 16.04170 18.19049 20.69532 0.043 -0.067 0.624 -1.339
C 16.03898 16.85104 19.98150 0.317 0.505 -1.200 0.367
C 14.88156 16.77207 18.95708 -0.666 -1.654 0.810 0.407
O 13.64084 16.63604 19.67760 -0.394 0.520 -0.344 -0.435
C 12.47328 16.40030 18.87341 0.796 -0.308 0.075 -0.328
N 17.30286 16.65500 19.22708 -0.554 -0.344 -0.159 1.236
H 16.69892 18.08185 21.55808 0.107 0.343 0.115 0.311
H 15.07372 18.53804 21.05630 -0.169 -0.287 -0.005 0.591
H 16.43208 18.96648 20.03689 0.103 -0.047 -0.086 -0.037
H 15.99000 15.99984 20.66060 -0.548 0.171 0.213 0.530
H 14.98702 15.82464 18.42851 0.338 -0.133 -0.457 -0.288
H 14.83900 17.56000 18.20510 0.177 0.451 0.180 0.128
H 12.63384 15.61182 18.13813 0.349 -0.322 -0.058 -0.100
H 12.13984 17.24732 18.27388 0.095 0.466 0.313 0.323
H 11.67904 16.03552 19.52474 0.069 0.332 0.147 0.375
H 17.39978 17.45322 18.61591 0.003 0.285 -0.527 -0.731
H 18.13447 16.71136 19.79746 -0.116 -0.286 0.677 -0.429
C 21.90842 15.65420 21.85708 -0.276 0.710 0.019 -1.882
C 20.72540 15.37574 20.93382 0.725 -2.446 -0.247 2.792
C 20.85290 13.98772 20.18254 0.492 2.363 -0.453 -0.184
O 21.77092 14.21502 19.08190 -0.517 0.519 -0.889 -0.405
C 21.19572 14.92438 17.92800 -0.372 -1.256 0.165 0.486
N 19.54616 15.31712 21.79788 0.197 0.558 -0.430 -0.644
H 22.03854 14.90812 22.64100 -0.106 -0.353 -0.136 0.435
H 21.58094 16.55614 22.37412 0.443 0.303 0.189 0.484
H 22.88032 15.82856 21.39540 -0.188 -0.046 -0.268 0.345
H 20.73078 16.10572 20.12438 -0.564 0.331 0.328 -1.671
H 19.87614 13.65358 19.83270 -0.122 0.092 -0.248 -0.250
H 21.21750 13.23852 20.88530 0.526 -0.113 -0.325 0.326
H 20.96768 15.98978 17.89632 0.502 0.419 1.312 -0.240
H 20.21954 14.50452 17.68530 -0.150 -0.456 0.001 -0.179
H 21.82178 14.79980 17.04446 0.382 -0.493 0.327 -0.056
********
The merger, though profitable, wasn’t without snags, including the headaches of integrating two information systems. There have also been new challenges, such as skyrocketing oil prices and growing problems with customer satisfaction, which US Airways has tackled with spectacular success, going from last place to first in on-time arrivals during the first six months of 2008.
Even after 20 years in the business, Parker maintains a relish for grappling with complex problems that his classmates remember from his days at Owen. “We’ll figure out a way to make this industry profitable again, even if the oil prices remain high, but it will be a different industry,” he says.
No doubt he will lead the company toward making necessary innovations a reality with a focus on team building, his signature management style.
Parker’s team-centered leadership style harkens back to his days playing high school and college football, says Elise Eberwein, Senior Vice President for People and Communications at US Airways, who has worked with Parker for five years.

“He is completely ‘relatable’ to employees of all levels and backgrounds. By relatable, I mean he laughs at the same jokes, is so incredibly down-to-earth, and cares about things that matter to our people as opposed to just the 30,000-foot view. Don’t get me wrong—he cares about that, too—but he is very connected to the emotional things that matter to people day in and day out at their jobs,” says Eberwein, who estimates Parker spends 50 percent of his time getting to know employees at all levels.
She says he truly wants divergent views at the table and has created a culture where differences in opinion are handled respectfully. “I’ve worked for several CEOs and been around a lot of high-level executives. Doug is by far the best team builder and ‘head coach’ I’ve seen,” she says.
Parker made news after the US Airways-America West merger when he refused a bonus based on America West’s performance the previous year because he felt it was unfair to US Airways employees whose salaries had been cut. More recently, he made a large personal investment in company stock.
A Reflection of His Character
It did not surprise any of Parker’s Owen friends to see him step up and make a large investment during a dark time for the industry, according to David Hornsby, MBA’86, Owner of Executive Travel and Parking in Nashville.
“Doug has always had this ‘never say die’ optimistic bent. … That’s just the way he’s always been,” says Hornsby, who has remained close to Parker since their days at Owen. Hornsby and others describe Parker as a fun-loving guy and a generous friend who is always punctual, neat and full of ideas.
“Doug has always been extremely analytical. He was always coming up with a ‘system’ for everything. We put a lot of faith in Doug’s systems, and I’m sure he is a master of systems at US Airways,” Hornsby says.
Owen School Dean Jim Bradford says Parker’s focus on finding systems that work rather than copying existing operations was a huge factor in the success of the US Airways-America West merger. “It’s a reflection of his character, organization and strategic initiative that when he rebuilt America West, he didn’t just copy a successful airline like Southwest; he made strategic changes that saved costs but with an ultimate focus on customer service,” Bradford says.
Parker and Hornsby are part of a tight-knit group from the MBA Class of 1986, and Parker says the strong friendships he made at Owen were the most important part of his graduate school experience.
Bradford recalls how well Parker’s friends from Owen have helped keep him grounded, particularly right before the airline executive was slated to speak at a class reunion gathering: “Here’s a successful guy speaking at a ‘no-risk’ conference. One of the things his classmates did the night before he was speaking to the entire group was pepper him with really nasty questions they were pretending to prepare for the next day. Of course, they love him to death. It was funny to watch him get a little nervous.”
Parker met his wife, Gwen, a former flight attendant, through mutual friends while living in Dallas. It was a courtship witnessed by Owen classmate Jim Loftin Jr., MBA’86, who also worked for American Airlines after graduation.
“I knew when Doug had found his bride,” says Loftin, now President of JDL Management and Consulting in Dothan, Ala. “I was visiting him in Dallas and, for the first time I had ever seen, he was particularly interested in attending a specific party. Doug was always a go-with-the-flow kind of guy. When we arrived, I noted Doug had a bit of uneasiness I had never witnessed before. On more than one occasion that evening, Doug would say, ‘Hey Jimbo, come on, let’s go over here.’ It was always within 10 feet of Gwen. She paid him no attention that evening, but it was only a matter of time before those two would tie the knot.”
The Parkers are the parents of three children—Jackson, 13; Luke, 10; and Eliza, 8—and live in Paradise Valley, Ariz.
“Doug’s a great dad and husband,” says Andy McCain, MBA’86. “He’s managed to balance that pretty well with being CEO in an industry that’s had more difficulty than any other that size.” McCain, who is Vice President and Chief Financial Officer of Hensley & Co., is another member of that tight-knit group from the Class of 1986. He lives in Phoenix and is one of Parker’s closest friends.
One Crisis After Another
Parker spent five years at American in Dallas, holding a variety of financial management positions, before joining Northwest Airlines in 1991. His titles at Northwest included Vice President and Assistant Treasurer, as well as Vice President of Financial Planning and Analysis.
“Northwest was going through an LBO (leveraged buyout) and looking to hire new management to improve their team,” Parker recalls. “I loved my time at American, but I was ready to do something where I could make even more of a difference by building some things really from scratch.”
After four years with Northwest, he was recruited in 1995 at age 33 to become Senior Vice President and Chief Financial Officer at America West, based in Tempe, Ariz. “It was a smaller airline going through similar things Northwest had gone through a few years before. The new management was trying to build a new team. It was a great opportunity for me that I couldn’t pass up. I’ve been here ever since,” Parker says.
He was named CEO of America West on Sept. 1, 2001. “It was a good 10 days,” he says wryly.
The industry, already troubled before the Sept. 11 disaster, lurched into crisis mode after those events. Parker led his company through a loan guarantee process that helped turn it around by 2005, the same year America West initiated a merger with US Airways, then in bankruptcy and in danger of shuttering its operations. By 2007 the combined airline, with Parker in the leadership role, earned $427 million in profits.
Unfortunately those profits are now being eaten away by huge increases in oil prices. The company is predicting that spending on fuel alone could increase by $1.8 billion dollars in 2008 over the previous year. Fuel prices now represent a staggering 40 percent of the operating budget, Parker says.
Although the current obstacles are daunting, Parker recalls that in 2001, many pundits similarly believed America West “was done.”
“Survival’s a great motivator,” he says. After Sept. 11 the airline was forced to better understand customers’ needs, making changes accordingly, and to redefine the airline with a low-cost structure.
(Inserted here: quantum chemistry results)
____________
{
  "formula": "C4H12O",
  "method": "the ωB97M-V functional and the def2-TZVPD basis",
  "e_lumo_ev": 0.94,
  "total_energy_ev": -6389.3031,
  "relative_energy_kcal_mol": 18.9,
  "smiles": "CCC.CO",
  "species": ["C", "O", "H", "H", "H", "H", "C", "C", "C", "H", "H", "H", "H", "H", "H", "H", "H"],
  "coordinates": [[-1.540, -0.380, -2.232], [-2.522, 0.340, -1.494], [-2.879, -0.183, -0.766], [-0.866, 0.327, -2.697], [-0.880, -0.845, -1.492], [-1.991, -1.100, -2.911], [1.252, -0.235, 0.789], [2.011, -0.830, 2.002], [0.891, 1.234, 0.958], [1.962, -0.377, -0.025], [0.308, -0.775, 0.696], [2.710, -0.110, 2.414], [2.533, -1.730, 1.736], [0.553, 1.700, 0.041], [0.189, 1.332, 1.768], [1.258, -0.992, 2.781], [1.752, 1.800, 1.325]]
}

* * * * *

Record 1
Entry from the OMol25 dataset: a cluster of 3 separate species, C20H40Br2F5NOP in total in a non-equilibrium geometry (the ωB97M-V functional and the def2-TZVPD basis).

- Lowest unoccupied orbital energy: 2.68 eV
- Total energy: -6904.7246 a.u.
- HOMO level: -4.87 eV
- Charge: -1
- Largest force on an atom: 2.5 eV/Å
- Kohn-Sham gap: 0.27745 Eh

```
70
C20H40Br2F5NOP, DFT the ωB97M-V functional and the def2-TZVPD basis
Br 2.475 -2.581 2.064
Br 2.384 0.816 5.174
P 0.326 -0.153 2.412
F -1.576 -2.544 5.234
F -2.070 -0.876 3.525
F 0.456 -2.104 5.440
F -0.254 -3.086 3.687
F -0.820 0.088 4.955
O -0.373 3.623 1.529
N -0.618 3.716 3.792
C -1.157 0.776 1.610
C -0.477 -2.149 4.548
C 2.735 -0.694 4.053
C -0.778 -0.764 3.907
C -5.033 3.812 -3.356
C 4.501 -3.823 -4.231
C -3.652 0.955 -1.345
C 4.006 -1.406 4.374
C 2.572 -3.182 -1.863
C -5.385 3.505 -1.902
C -0.866 3.134 2.479
C 4.096 -3.198 -1.762
C 4.870 -5.280 -3.971
C 2.004 -1.824 -2.258
C -1.727 1.906 2.453
C -4.189 3.418 -0.952
C -3.129 2.388 -1.336
C 4.836 -2.894 -3.065
C 1.921 -1.018 3.083
C -4.357 5.168 -3.543
H 2.338 -1.517 -3.252
H 1.176 0.268 1.286
H -2.308 2.454 -0.618
H -2.699 2.629 -2.313
H 3.439 -3.752 -4.479
H 3.847 -2.457 4.535
H -3.712 4.400 -0.873
H -1.433 3.466 4.351
H 5.045 -3.477 -5.116
H 5.937 -5.379 -3.757
H 0.671 1.095 3.066
H 4.646 -5.895 -4.845
H 2.229 -3.945 -2.570
H 0.913 -1.855 -2.274
H -5.948 2.567 -1.866
H 2.303 -1.055 -1.543
H 4.313 -5.692 -3.128
H -4.560 3.186 0.052
H -4.051 0.682 -0.367
H -6.067 4.277 -1.531
H -4.160 5.355 -4.600
H -1.912 0.092 1.247
H 4.632 -1.862 -3.367
H -2.016 1.604 3.447
H -4.440 0.815 -2.089
H 4.402 -0.976 5.288
H 4.414 -4.173 -1.380
H 4.754 -1.222 3.620
H 0.118 3.144 4.208
H -3.403 5.218 -3.017
H 4.406 -2.468 -1.008
H -5.955 3.796 -3.945
H -0.795 1.254 0.705
H 2.160 -3.460 -0.891
H -2.846 0.260 -1.584
H -4.395 3.025 -3.766
H -2.666 2.215 1.983
H -0.018 -1.375 1.699
H -4.994 5.974 -3.173
H 5.913 -2.941 -2.872
```

***

Record 2
Entry from the OMol25 dataset: a cluster of 2 separate species, C20H40Cl2N5O3 in total in a non-equilibrium geometry (the ωB97M-V functional and the def2-TZVPD basis).

- Lowest unoccupied orbital energy: -2.62 eV
- Total energy: -2205.7148 a.u.
- HOMO level: -11.75 eV
- Charge: +1
____________
(The text goes on)
But America West executives knew the operational turn-around might be tenuous. “So as we looked at America West, we were very concerned about our viability because we had an airline that never had the same revenue generating capacity” as other airlines, he says. “We made up for it with lower cost structure, but we had cause for concern.”
The merger with US Airways was an opportunity to expand into more business markets and afforded a larger customer base.
“I recall vividly when we were putting this merger together that there was concern about oil prices, which were then $50 a barrel,” he says. Company managers were confident that they could succeed despite the high costs of fuel. “But when oil prices jump from $90 to $145 in a matter of months, that has a profound impact on our business. There’s a lot of financial turmoil in the business that we’re not immune to.”
Tackling Problems Head-On
Parker, always one to see the silver lining, says soaring oil prices have similarly forced the industry to address airport capacity issues. “Six months ago we were spending a lot of time working on how to fix the congestion issue,” he says. “It was much of what everyone was talking about. The fact of the matter is, oil fixed that. We were forced to take 10 percent of capacity out right away. It will come back one day, but the impact of oil overwhelms everything else.”
Six months ago we were spending a lot of time working on how to fix the congestion issue. The fact of the matter is, oil fixed that. We were forced to take 10 percent of capacity out right away. It will come back one day, but the impact of oil overwhelms everything else.
~ Doug Parker
The new US Airways is aggressively addressing the issues it can, as evidenced by the dramatic turnaround in on-time arrivals in 2008. Parker credits this accomplishment in part to several key hires, including Robert Isom, recruited from GMAC Financial Services less than a year ago as the airline’s Chief Operating Officer. Parker and Isom worked together both at Northwest and America West before Isom left the industry for GMAC. Suzanne Boda, another key hire, joined US Airways in January as Senior Vice President for the East Coast, where airline congestion has been a particular challenge. Boda is also a Northwest Airlines veteran.
A mark of Parker’s style is that he stayed in the background as the turnaround was announced and let his executives take the lead. In July, an article in The Wall Street Journal trumpeting the airline’s new data never mentioned the CEO’s name, quoting Isom and Boda instead.
“If someone suggested we’d go from 10th to first in a year, I would have thought it was too much, but we’ve done it and it is a credit to all our people,” Parker says.
The company accomplished the performance turnaround in part by focusing on getting planes out of the gate on time, rewarding employees for better service, and investing millions in capital improvements.
A major challenge was integrating the communications systems more effectively, something that took time and led to frustrations for travelers after the merger.
“In our case, through that operational integration, we’d gotten ourselves into running a much worse operation than we wanted to run,” Parker says. “We knew the problem would get fixed when integration took hold, but we also knew we needed to take additional action because of what those problems meant from a customer perception standpoint. We had to win customers back. We put a tremendous amount of focus on it, including bringing in new people who knew what to do.”
Meanwhile, the airline is finding other ways to adapt to rising costs. Among those in the news are such changes as per-item charges for baggage and other efforts to “de-bundle the product,” such as charging for drinks. US Airways also announced it would stop giving bonus miles to frequent fliers and begin charging between $25 and $50 for booking award tickets, calling the cost-saving measures “necessary realities.” Other airlines announced similar cost-saving measures.
“We want to concentrate on providing great service on our core product, which is getting our customers from point A to point B on time,” Isom explains.
Isom says while people in the industry have been talking for months about how to confront the cost issue, he enjoys the culture at US Airways, which is focused on tackling problems head-on. “None of us are people who are going to wait around without charging ahead,” he says. “The worst thing you can do is sit back. It’s time for bold measures.”
Isom worked indirectly for Parker during his first post-graduate job. “I can credit Doug with getting me into the business and pulling me back in after I got out,” Isom says. “Not only is he a really good friend, but he’s a charismatic guy whom you want to work with.”
In His Element
“Every organization has its own cul-ture and feel,” agrees Bradford. “When you’re around Doug, you recognize the quality of this human being. He genuinely wants what’s best for the company, and he treats the school the same way.
“What really comes across with Doug is that here’s a very accomplished business guy who values integrity above all things and is a real family man,” Bradford says. “His success hasn’t gone to his head. He’s firmly grounded in his value system, and his leadership comes from that value system.”
While Parker strongly believes that the industry won’t be able to avoid looking at the efficiencies of combining airlines in the coming years, he predicts the current environment of skyrocketing oil prices will freeze any movement in that direction during the coming year, and maybe longer, except for the recently approved Delta-Northwest merger.
“The airline industry is very fragmented,” he says, citing the fact that American Airlines, for example, has less than 20 percent market share. “It’s hard to find businesses like that outside the airline industry. The fact that we’re highly fragmented is a lot of the reason we go through this turmoil. It’s just so hyper-competitive.”
Parker predicts that the Delta-Northwest merger will be fraught with hazards similar to those faced by US Airways and America West. “There will be hiccups. There is so much to integrate from an operational standpoint. You can’t turn it on overnight and not have consequences to deal with.”
Although he knows the industry is in for a bumpy ride, he wouldn’t change the course of his career. “I love it. It’s a great business. It’s extremely dynamic. If you’re looking for a business that runs itself in a steady state, that’s not what this is. But I like that part,” he says.
“It’s not for the faint of heart,” he says, as he shuffles through papers on his desk for his next meeting and prepares to deal with tomorrow’s chal-lenges. “There are times when you wish for some level of normalcy. But if I had some level of normalcy, I’d probably be bored. I enjoy the challenges.”
One response to “Riding Out the Turbulence”
[…] I wanted to add to what Owen alumnus Doug Parker (MBA ’86) talked about in his Commencement address when he discussed the importance of relationships. For me, […]